Man, I haven't blogged in mad long. I did Erin Express this weekend, which is a yearly bar crawl in Philly on the two Saturdays before St. Patricks. Basically it's a bunch of Irish bars who pay for buses to take people between all of them from noon to 5:30 PM. I actually didn't end up riding the bus but I went to two of the bars (Roosevelts and Drinkers, for my Philly people). Both places were packed liked sardines, which I kind of figured, but I think it was worse because it was raining so people couldn't go outside at any of the bars. I see the appeal of a bar crawl but honestly, these places were way too packed. I could barely get a drink let alone have enough room to feel relaxed. That became tiresome pretty quickly so Preethi and I decided to grab some dinner and figure out the next place to go. While doing that I got a text from some co-workers who were in the city and at a bar near by, so we decided to check it out. This place was awesome. It's the Good Dog bar and as the name implies, the place has pictures of dogs everywhere. I don't know if they're dogs that the owners/employees/patrons own, but they had a lot of dog pictures. Though it didn't have a lot of taps, the options it had were great. I feel shamed, but I don't remember any of the specific beer, but everything on tap was high quality. The place wasn't big, but had the right amount of people to be vibrant, but not crowded, definitely an enjoyable experience.
Actual Good Dog, dog. Also the best breed ever!
After Good Dog the new group we were with headed to Manayunk (outside center city Philly) and went to Kildare's (Irish bar). Didn't have much time at Kildare's before having to get the train, but the drive over was the experience. We caught a ride with a co-worker and once we got into the Manayunk area it seemed like every road was closed because of fallen trees. Every turn we tried to make had a tree in the way, so eventually we decided to fix the problem. We stopped the car, hopped out, and dragged the tree and branches out of the way. While doing this one of the lumberjacks noticed that there was a wire hanging in the tree we were trying to move. Though it wasn't the best idea, he decided to just grab it and throw it out of the way. Luckily the thing was either a telephone line or not active and he didn't fry himself. Once we got all the trees out of the way we were able to get to the bar.
**Unrelated to this page: records of crystals:**
~~~
[1]
First-principles (GGA-PBE) data for an optimized crystal structure of K2HgSbF6, as listed in Materials Project.

The structure in CIF format:
```
data_K2HgSbF6
_chemical_formula_sum 'K2 Hg1 Sb1 F6'
_space_group_name_H-M_alt 'P 1'
_space_group_IT_number 1
_space_group_name_Hall 'P 1'
_cell_length_a 6.809
_cell_length_b 6.809
_cell_length_c 6.809
_cell_angle_alpha 60.00
_cell_angle_beta 60.00
_cell_angle_gamma 60.00
loop_
_atom_site_label
_atom_site_type_symbol
_atom_site_fract_x
_atom_site_fract_y
_atom_site_fract_z
K1 K 0.250 0.250 0.250
K2 K 0.750 0.750 0.750
Hg1 Hg 0.000 0.000 0.000
Sb1 Sb 0.500 0.500 0.500
F1 F 0.281 0.281 0.719
F2 F 0.281 0.719 0.281
F3 F 0.281 0.719 0.719
F4 F 0.719 0.281 0.281
F5 F 0.719 0.281 0.719
F6 F 0.719 0.719 0.281
```

Raw total energy (eV per atom): -3.98
Energy of formation (eV per atom): -2.439
SG: Fm-3m (225)
Size of the total moment (μB per formula unit): 0.0



[2]
First-principles (GGA-PBE) data for an optimized crystal structure of Sr2YCu3Pb2O8, as listed in Materials Project.

The structure in CIF format:
```
data_Sr2YCu3Pb2O8
_chemical_formula_sum 'Sr4 Y2 Cu6 Pb4 O16'
_space_group_name_H-M_alt 'P 1'
_space_group_IT_number 1
_space_group_name_Hall 'P 1'
_cell_length_a 5.368
_cell_length_b 5.412
_cell_length_c 15.678
_cell_angle_alpha 90.29
_cell_angle_beta 90.48
_cell_angle_gamma 90.14
loop_
_atom_site_label
_atom_site_type_symbol
_atom_site_fract_x
_atom_site_fract_y
_atom_site_fract_z
Sr1 Sr 0.002 0.001 0.221
Sr2 Sr 0.498 0.497 0.779
Sr3 Sr 0.502 0.503 0.221
Sr4 Sr 0.998 0.999 0.779
Y1 Y 0.000 0.000 0.000
Y2 Y 0.500 0.500 0.000
Cu1 Cu 0.000 0.000 0.500
Cu2 Cu 0.000 0.500 0.104
Cu3 Cu 0.000 0.500 0.896
Cu4 Cu 0.500 0.001 0.104
Cu5 Cu 0.500 0.500 0.500
Cu6 Cu 0.500 0.999 0.896
Pb1 Pb 0.005 0.488 0.610
Pb2 Pb 0.495 0.003 0.389
Pb3 Pb 0.505 0.997 0.611
Pb4 Pb 0.995 0.512 0.390
O1 O 0.002 0.494 0.250
O2 O 0.047 0.946 0.384
O3 O 0.249 0.249 0.907
O4 O 0.250 0.251 0.092
O5 O 0.250 0.750 0.093
O6 O 0.250 0.750 0.909
O7 O 0.469 0.429 0.615
O8 O 0.495 0.990 0.750
O9 O 0.505 0.010 0.250
O10 O 0.531 0.571 0.385
O11 O 0.750 0.250 0.091
O12 O 0.750 0.250 0.907
O13 O 0.750 0.749 0.908
O14 O 0.751 0.751 0.093
O15 O 0.953 0.054 0.616
O16 O 0.998 0.506 0.750
```

Raw total energy (eV per atom): -6.04
Energy of formation (eV per atom): -2.057
SG: P-1 (2)
Size of the total moment (μB per formula unit): 0.0
Offset from the most stable computed form (eV/atom): 0.0076



[3]
First-principles (GGA-PBE) data for an optimized crystal structure of Na10Ti4In4Si7S5O48, as listed in Materials Project.

The structure in CIF format:
```
data_Na10Ti4In4Si7S5O48
_chemical_formula_sum 'Na30 Ti12 In12 Si21 S15 O144'
_space_group_name_H-M_alt 'P 1'
_space_group_IT_number 1
_space_group_name_Hall 'P 1'
_cell_length_a 9.032
_cell_length_b 15.699
_cell_length_c 22.497
_cell_angle_alpha 88.73
_cell_angle_beta 89.91
_cell_angle_gamma 89.83
loop_
_atom_site_label
_atom_site_type_symbol
_atom_site_fract_x
_atom_site_fract_y
_atom_site_fract_z
~~~
**Back to the page:**
Speaking of trees, this is what I encountered when I pulled into my parking lot (pic taken next day):
You can't see it, but the top of the tree completely took out the rear hatch of an SUV that happened to get in its way. Man am I glad it had fallen before I decided where to park.